Server management for success

== Calculated crystals that have nothing to do with the page ==
=====
Material: SrZnF2
Method: DFT, PBE
State: optimized geometry

Values from the calculation:
Total magnetization: 0.000 μB per atom
Final energy: -4.206 eV/atom
ΔE_f: -2.74 eV per atom

Unit cell a=7.9473 b=7.9473 c=7.9473 alpha=121.12 beta=121.12 gamma=88.06
With the nearest neighbours (Å) after each atom.
Positions (direct):
Sr  0.0000  0.0000  0.0000  6 F 2.48-2.49
Sr  0.5000  0.0000  0.0000  6 F 2.48-2.49
Sr  0.5000  0.0000  0.5000  6 F 2.48-2.49
Sr  0.5000  0.5000  0.5000  6 F 2.48-2.49
Zn  0.0000  0.0000  0.5000  6 F 3.13-3.30
Zn  0.0000  0.5000  0.0000  6 F 3.13-3.30
Zn  0.0000  0.5000  0.5000  6 F 3.13-3.30
Zn  0.5000  0.5000  0.0000  6 F 3.13-3.30
F  0.2741  0.2133  0.0587  3 Sr 2.48-2.49
F  0.2846  0.2259  0.4392  3 Sr 2.48-2.49
F  0.2867  0.8454  0.0608  3 Sr 2.48-2.49
F  0.3454  0.7846  0.5587  3 Sr 2.48-2.49
F  0.6546  0.2154  0.4413  3 Sr 2.48-2.49
F  0.7133  0.1546  0.9392  3 Sr 2.48-2.49
F  0.7154  0.7741  0.5608  3 Sr 2.48-2.49
F  0.7259  0.7867  0.9413  3 Sr 2.48-2.49


Material: Sr5Zr3F22
Method: DFT, PBE
State: optimized geometry

Values from the calculation:
Final energy: -6.358 eV/atom
ΔE_f: -4.16 eV per atom

Unit cell a=7.7454 b=10.4760 c=10.4625 alpha=90.00 beta=90.00 gamma=90.00
With the nearest neighbours (Å) after each atom.
Positions (direct):
Sr  0.0000  0.0000  0.0198  8 F 2.39-2.60
Sr  0.0000  0.0000  0.4616  8 F 2.46-2.58
Sr  0.0000  0.5000  0.9371  6 F 2.42-2.58
Sr  0.2363  0.2926  0.2532  6 F 2.39-2.53
Sr  0.2637  0.7926  0.7468  6 F 2.39-2.53
Sr  0.5000  0.0000  0.0629  6 F 2.42-2.58
Sr  0.5000  0.5000  0.5384  8 F 2.46-2.58
Sr  0.5000  0.5000  0.9802  8 F 2.39-2.60
Sr  0.7363  0.2074  0.7468  6 F 2.39-2.53
Sr  0.7637  0.7074  0.2532  6 F 2.39-2.53
Zr  0.0000  0.5000  0.5380  8 F 2.10-2.21
Zr  0.2473  0.2110  0.7733  8 F 2.10-2.34
Zr  0.2527  0.7110  0.2267  8 F 2.10-2.34
Zr  0.5000  0.0000  0.4620  8 F 2.10-2.21
Zr  0.7473  0.2890  0.2267  8 F 2.10-2.34
Zr  0.7527  0.7890  0.7733  8 F 2.10-2.34
F  0.0115  0.2003  0.8740  1 Zr 2.11
F  0.0268  0.6572  0.1252  1 Zr 2.12
F  0.0643  0.8411  0.2954  1 Zr 2.12
F  0.0680  0.1508  0.6351  1 Zr 2.10
F  0.0881  0.6107  0.3711  2 Zr 2.20-2.24
F  0.0898  0.3887  0.7047  2 Zr 2.21-2.34
F  0.2126  0.6081  0.6003  1 Zr 2.10
F  0.2139  0.3940  0.4714  1 Zr 2.11
F  0.2180  0.0161  0.8313  1 Zr 2.14
F  0.2364  0.1119  0.1143  3 Sr 2.39-2.42
F  0.2404  0.8464  0.0776  1 Zr 2.11
F  0.2596  0.3464  0.9224  1 Zr 2.11
F  0.2636  0.6119  0.8857  3 Sr 2.39-2.42
F  0.2820  0.5161  0.1687  1 Zr 2.14
F  0.2861  0.8940  0.5286  1 Zr 2.11
F  0.2874  0.1081  0.3997  1 Zr 2.10
F  0.4102  0.8887  0.2953  2 Zr 2.21-2.34
F  0.4119  0.1107  0.6289  2 Zr 2.20-2.24
F  0.4320  0.6508  0.3649  1 Zr 2.10
F  0.4357  0.3411  0.7046  1 Zr 2.12
F  0.4732  0.1572  0.8748  1 Zr 2.12
F  0.4885  0.7003  0.1260  1 Zr 2.11
F  0.5115  0.2997  0.1260  1 Zr 2.11
F  0.5268  0.8428  0.8748  1 Zr 2.12
F  0.5643  0.6589  0.7046  1 Zr 2.12
F  0.5680  0.3492  0.3649  1 Zr 2.10
F  0.5881  0.8893  0.6289  2 Zr 2.20-2.24
=====


  • Speed increases search rankings.
  • Security maintains trust.
  • Supports all cloud providers.
  • Monitoring dashboards.

Web agencies need great hosting for their clients.

Whether you're an all-in-one agency or you specialize, ensuring your clients have fast, secure hosting is critical. If a site is slow, visitors bounce and search rankings drop. If a site is compromised, trust and personal data may be lost.

ServerPilot was written for secure, optimized web hosting on cloud servers. When you combine the world's most advanced control panel with a trusted cloud provider such as DigitalOcean, Google Cloud Platform, or Amazon Web Services, you provide truly professional hosting to your clients.


  • One-click WordPress.
  • Let's Encrypt SSL.
  • Multiple apps on each server.

You build great sites. Now add great hosting.

### Next to the entry, the page also holds records of crystals
(1)
# PBE-GGA Si5Rh4, optimized geometry
data_Si5Rh4
_cell_length_a 5.9883
_cell_length_b 3.5591
_cell_length_c 12.4487
_cell_angle_alpha 90.00
_cell_angle_beta 100.09
_cell_angle_gamma 90.00
_symmetry_space_group_name_H-M 'P 1 21/m 1'
_symmetry_Int_Tables_number 11
loop_
_symmetry_equiv_pos_as_xyz
'x,y,z'
'-x,-y,-z'
'-x,y+1/2,-z'
'x,-y+1/2,z'
loop_
_atom_site_label
_atom_site_fract_x
_atom_site_fract_y
_atom_site_fract_z
Si1 0.0130 0.2500 0.0774
Si2 0.0329 0.2500 0.7762
Si3 0.1385 0.7500 0.6354
Si4 0.3932 0.7500 0.4224
Si5 0.4799 0.2500 0.1398
Rh1 0.1999 0.2500 0.5000
Rh2 0.2147 0.2500 0.2698
Rh3 0.2909 0.2500 0.9499
Rh4 0.3923 0.2500 0.7267
# - DFT total energy (Ha/atom) = -0.2579
# - energy relative to the elements (eV per formula unit) = -6.59

(2)
# PBE-GGA InHg7S6Cl5, optimized geometry
data_InHg7S6Cl5
_cell_length_a 7.5890
_cell_length_b 10.7770
_cell_length_c 14.0877
_cell_angle_alpha 109.70
_cell_angle_beta 105.46
_cell_angle_gamma 92.85
_symmetry_space_group_name_H-M 'P -1'
_symmetry_Int_Tables_number 2
loop_
_symmetry_equiv_pos_as_xyz
'x,y,z'
'-x,-y,-z'
loop_
_atom_site_label
_atom_site_fract_x
_atom_site_fract_y
_atom_site_fract_z
In1 0.1139 0.3606 0.1766
Hg1 0.0000 0.5000 0.5000
Hg2 0.0167 0.8860 0.1600
Hg3 0.2160 0.8619 0.4399
Hg4 0.2806 0.6186 0.0652
Hg5 0.3076 0.2029 0.4384
Hg6 0.3735 0.4574 0.7273
Hg7 0.3764 0.9563 0.7273
Hg8 0.5000 0.0000 0.0000
S1 0.0454 0.9953 0.3503
S2 0.1285 0.7843 0.0095
S3 0.1348 0.3346 0.5633
S4 0.3627 0.1187 0.8899
S5 0.3725 0.7707 0.5710
S6 0.3940 0.4314 0.1050
Cl1 0.0242 0.4274 0.8270
Cl2 0.1384 0.7054 0.7527
Cl3 0.2486 0.1435 0.1645
Cl4 0.3191 0.4699 0.3634
Cl5 0.4886 0.8227 0.3321
# - DFT total energy (Ha/atom) = -0.0911
# - energy relative to the elements (eV per formula unit) = -14.27
# - total energy after the MP2020 corrections (eV/cell) = -106.41

(3)
# PBE-GGA EuBi2BrO4, optimized geometry
data_EuBi2BrO4
_cell_length_a 3.9646
_cell_length_b 3.9646
_cell_length_c 9.4189
_cell_angle_alpha 90.00
_cell_angle_beta 90.00
_cell_angle_gamma 90.00
_symmetry_space_group_name_H-M 'P 4/m m m'
_symmetry_Int_Tables_number 123
_symmetry_space_group_name_Hall '-P 4 2'
loop_
_atom_site_label
_atom_site_fract_x
_atom_site_fract_y
_atom_site_fract_z
Eu1 0.0000 0.0000 0.0000
Bi1 0.5000 0.5000 0.2723
Br1 0.0000 0.0000 0.5000
O1 0.0000 0.5000 0.1553
# - DFT total energy (Ha/atom) = -0.2453
# - energy relative to the elements (eV per formula unit) = -16.67
# - total energy after the MP2020 corrections (eV/cell) = -56.14

(4)
# PBE-GGA GdCu4Au, optimized geometry
data_GdCu4Au
_cell_length_a 7.1412
_cell_length_b 7.1412
_cell_length_c 7.1412
_cell_angle_alpha 90.00
_cell_angle_beta 90.00
_cell_angle_gamma 90.00
_symmetry_space_group_name_H-M 'F -4 3 m'
_symmetry_Int_Tables_number 216
_symmetry_space_group_name_Hall 'F -4 2 3'
loop_
_atom_site_label
_atom_site_fract_x
_atom_site_fract_y
_atom_site_fract_z
Gd1 0.0000 0.0000 0.0000
Cu1 0.1240 0.1240 0.3760
Au1 0.2500 0.2500 0.7500
# - DFT total energy (Ha/atom) = -0.2184

ServerPilot puts you in control. You choose your cloud provider and you keep root access. Create new WordPress sites instantly with our one-click installer or run your latest Laravel app. ServerPilot takes care of server configuration and updates. Our support staff is here for you if you ever need them.

Hosting many sites on the same server is painless. SSL certificates from Let's Encrypt are deployed and renewed automatically for all of your sites. And ServerPilot configures each site to be isolated so if one site ever got compromised, it can't access other sites on the same server.

Site Owners

  • Easily host on cloud servers.
  • Speed and security.
  • Free SSL for all sites.

Your business depends on speed, security, and uptime.

ServerPilot allows you or your developer to easily host your website on its own cloud server. Your server is configured for speed and security and is kept patched against vulnerabilities. Your website is secured with a free SSL certificate that is automatically renewed.

Adding new websites to your server is as easy as logging into ServerPilot and clicking a button. And our expert support team is available if you need them.


  • Advanced metrics.
  • Fast, secure, and reliable.
  • Saves you time so you can focus on your product.

Hosting should be the least of your worries.

We know what you're going through since we're a SaaS company, too. The investment and sacrifice can't be measured in dollars or hours. Launching is hard. Getting your first customers is hard. Growing your team is hard. Your hosting should be painless.

We built ServerPilot to make secure, fast, reliable hosting on cloud servers a solved problem. We give you an advantage by freeing you to focus time and resources on real business problems. We help you succeed.


  • Simplifies cloud hosting.
  • Fast and secure.
  • Low support load.

Hosting industry growth is in managed cloud servers.

ServerPilot gives you the ideal platform for building your cloud hosting business. With an architecture and pricing model designed for cloud servers, ServerPilot allows you to leave behind the insecurity, slowness, high support load, complexity, upgrade breakage, and poor user experience of legacy control panels.

You can integrate ServerPilot into your existing hosting automation software using ServerPilot's developer-friendly JSON API.

Launch your first site in 5 minutes